Eight years ago we decided to organize a new kind of conference in Leipzig, a syntax conference for linguists with a serious interest in the whole range of diversity of the world’s languages. In other words, a conference for fieldworkers and typologists, where the comparativists can meet the linguists with first-hand data experience, and where (unlike at typology conferences) fieldworkers who focus on a single language do not need to feel out of place (Syntax of the World’s Languages). This proved to be a success, and after Lancaster, Berlin and Lyon, the fifth conference in this biennial series was organized by the University of Zagreb’s Ranko Matasović, in Dubrovnik on the Adriatic coast. There were about 70 papers, of which about 15 were typological papers, and the rest on individual languages from around the world. Well, Eurasian languages were overrepresented as usual, with only one Papuan paper, and only seven papers on languages of the Americas. This was probably also due to the fact that the country with the biggest number of representatives was Russia, where many syntacticians work on Caucasian, Uralic and Altaic languages.
Some of the highlights from my perspective:
– Bernard Comrie‘s plenary talk on differential object marking (DOM), where he discussed the claim by Bickel & Witzlack-Makarevich (2008) that DOM is not robustly attested in the world’s languages. Comrie noted that in contrast to what these authors do in their paper, DOM has usually been formulated in fairly narrow terms (involving only flagging, not indexing, and involving only animacy and referentiality, not other parameters). And even though he did not give statistical data of his own, he noted that under a reasonable definition of counterevidence and a reasonable definition of what is an independent case, there could be little doubt that DOM is a strong general tendency of human language. The fact that it is not equally represented in all areas is not damaging for this claim, as long as we find it again and again even in the other areas (e.g. in some corners of the grammar of Tagalog, in Sereer in West Africa, and in a Japanese dialect). Bickel and his associates (see now also Bickel et al. 2012+) seem to assume that when two languages are spoken in the same macro-area, they cannot constitute independent cases, but it’s very difficult to imagine, for example, how Japanese and Tagalog should have influenced each other. Thus, they seem to greatly underestimate the number of independent cases.
Inserted here: data records.
- - -
Entry 1:
Here is a single C16H23N5O2 molecule from OMol25. Energies are from ωB97M-V/def2-TZVPD.

Atoms and positions in Å:
C (3.5829, -1.4297, 2.7589)
H (4.2460, -1.6399, 1.9224)
H (3.2622, -0.3932, 2.6944)
H (4.1385, -1.5636, 3.6833)
C (2.3620, -2.3525, 2.7442)
C (1.5861, -2.1860, 1.4781)
N (0.5330, -1.4668, 1.4864)
N (-0.1802, -1.2469, 0.3703)
C (0.1196, -1.7857, -0.8662)
O (-0.5797, -1.5590, -1.8427)
C (1.3069, -2.6057, -0.8599)
C (1.9371, -3.3170, -1.8588)
C (3.0541, -3.9345, -1.2776)
C (3.0846, -3.5916, 0.0521)
N (2.0268, -2.7839, 0.3131)
H (3.7843, -3.8741, 0.8126)
H (3.7624, -4.5643, -1.7784)
H (1.6162, -3.3748, -2.8785)
C (-1.3499, -0.4120, 0.5606)
H (-1.9763, -0.5043, -0.3267)
H (-1.8842, -0.7740, 1.4430)
C (-0.9601, 1.0421, 0.8683)
O (-0.9641, 1.4389, 2.0195)
N (-0.5968, 1.8297, -0.1621)
C (-0.7434, 1.5612, -1.5741)
H (0.1467, 1.9605, -2.0716)
C (-2.0097, 2.2811, -2.0969)
N (-2.3323, 3.4783, -1.3374)
C (-3.3528, 3.3250, -0.3098)
C (-4.0341, 4.6597, -0.0199)
H (-4.9065, 4.4961, 0.6073)
H (-3.3677, 5.3424, 0.5001)
H (-4.3493, 5.1225, -0.9511)
H (-4.1053, 2.6345, -0.6985)
H (-2.9642, 2.9046, 0.6291)
C (-1.1167, 4.1156, -0.8815)
C (-0.3134, 3.2316, 0.1010)
H (0.7612, 3.4154, -0.0126)
H (-0.5903, 3.4314, 1.1376)
H (-1.3623, 5.0646, -0.4057)
H (-0.5168, 4.3331, -1.7699)
H (-2.8643, 1.6039, -2.0727)
H (-1.8434, 2.5728, -3.1409)
H (-0.7942, 0.4970, -1.7914)
H (1.7022, -2.0923, 3.5710)
H (2.6733, -3.3933, 2.8526)

Results
HOMO in eV: -8.138
Orbital gap in Ha: 0.3266
Multiplicity: 1
Max |F| in eV Å⁻¹: 0.95
LUMO energy in hartree: 0.027
Net charge: 0

Entry 2:
Here is a single C5H9NO2 molecule from OMol25. Energies are from ωB97M-V/def2-TZVPD.

Atoms and positions in Å:
C (-0.3259, 0.0070, 0.1933)
C (-0.7640, 1.4102, -0.3349)
C (1.2294, 0.0186, 0.1033)
C (0.4931, -2.0493, -0.6948)
C (-0.5570, -1.2774, -0.6951)
H (-1.1370, 0.3768, 2.0631)
H (-0.1843, -1.1263, 1.9981)
H (-0.5133, 1.3728, -1.4605)
H (-1.8717, 1.6442, -0.3026)
H (-0.1683, 3.2907, -0.1562)
H (1.7250, 0.2839, -0.8761)
H (1.9041, 0.2951, 0.9835)
H (0.8632, -2.9887, -1.4159)
H (-1.4864, -1.7483, -1.0277)
N (-0.9555, -0.4362, 1.4535)
O (0.2156, 2.4129, 0.1382)
O (1.5331, -1.4860, 0.0308)

Results
HOMO in eV: -8.641
Orbital gap in Ha: 0.3425
Multiplicity: 1
Max |F| in eV Å⁻¹: 4.18
LUMO energy in hartree: 0.025
Net charge: 0

Entry 3:
Here is a single C23H24N4O4S molecule from OMol25. Energies are from ωB97M-V/def2-TZVPD.

Atoms and positions in Å:
O (2.0840, -2.3249, -3.3813)
C (1.9861, -1.7629, -2.3070)
N (2.5032, -2.2691, -1.1629)
H (2.3609, -1.7800, -0.2953)
C (3.2636, -3.4936, -1.1324)
H (3.1010, -3.9808, -2.0973)
C (4.7831, -3.2707, -0.9587)
N (5.2647, -2.7444, 0.2953)
C (5.0155, -1.3384, 0.5793)
C (4.0605, -1.2547, 1.7956)
H (4.5616, -0.7609, 2.6274)
H (3.1564, -0.6864, 1.5757)
C (3.7524, -2.7132, 2.1508)
H (3.7088, -2.8772, 3.2258)
H (2.7997, -3.0294, 1.7233)
C (4.9160, -3.4752, 1.4991)
H (4.6807, -4.5150, 1.2752)
H (5.7835, -3.4533, 2.1690)
H (4.6225, -0.8323, -0.3035)
- - -
– Sonia Cristofaro‘s talk on alienable/inalienable contrasts, where she argued both against a Haiman-style iconicity account and against my frequency account (Haspelmath 2008). Instead, she claimed, alienability contrasts are due to the sources from which possessive constructions grammaticalize. For example, when possessive constructions come from a noun meaning ‘possession’ (as in Arabic vernaculars), one does not expect this to be used for kinship terms and body-part terms because relatives and body-parts are not thought of as possessions. But here I would still ask why one doesn’t find constructions with an over noun meaning ‘part’ being grammaticalized as a possessive marker: ‘my-part the hand’ would be semantically as plausible as ‘my-possession the book’, but such developments never take place. So I feel that a source-determination account will eventually have to be combined with a frequency-based account.
– Robert D. Van Valin‘s talk on information structure in Lakhota gave a detailed account of various properties of Lakhota that are relevant to information structure, such as the rich system of (especially) indefinite articles, of emphatic personal pronouns, of word order and prosody, and of clefting by means of an internally-headed relative clause (“internally-headed cleft”). This talk was remarkable because Van Valin is better known as the leading figure of Role and Reference Grammar, but here he showed that he has not lost interest in in-depth language-particular studies which make no direct reference to a formal framework, i.e. that he has not lost touch with the foundations of all theory. He did ask a general question, namely whether Lakhota’s head-marking structure is related to any of its information-structural properties, but his answer was negative: None of its peculiarities seem in any way related to its head-marking nature. I was not so surprised by this, because it seems to me that the deeper significance of the head-marking/dependent-marking typology has often been overestimated. For information structure, what seems more relevant is whether highly topical referents can be completely dropped (as in Japanese and Thai), or whether they need to be expressed obligatorily, as in all languages with bound person forms and in languages like English (where one cannot say “Do you like it? Yes, Ø like it.”) . Languages with obligatory topic expression are overwhelmingly of the Lakhota type, with bound person forms expressing the topic, so Lakhota is actually the most usual type of language (it’s English that is the unusual case, with an obligatory set of person forms that are not restricted to topical use and that can be used contrastively).
– Alexander Letuchiy and Peter Arkadiev, who talked about indirect antipassives in Circassian (Kabardian and Adyghe). While a standard antipassive downgrades (demotes or removes) a direct object (or P-argument), an oblique (or “indirect”) object can also be removed by a kind of antipassive construction in these two closely related languages. Such cases have not been reported previously in the literature, but Leutuchiy & Arkadiev note that they are not entirely unexpected: Similarly, applicatives sometimes add oblique arguments rather than P-arguments (e.g. in Kartvelian, where they are called “version”). And Circassian languages have an unusually large number of two-argument verbs with an oblique second argument (e.g. ‘hit’, ‘bite’, ‘kiss’, ‘scold’, ‘catch’), so apparently the need for such a construction is higher here than elsewhere.
This is just a very subjective selection from a wonderful conference in one of Europe’s most splendid tourist destinations. The University of Zagreb has a conference building here, just a few minutes from the old town and the beach, which was the beautiful backdrop for a very productive encounter.
Bickel, Balthasar, Alena Witzlack-Makarevich & Taras Zakharko. 2012+. Typological evidence against universal effects of referential scales on case alignment. Ms., University of Zurich.
Haspelmath, Martin. 2008. Frequency vs. iconicity in explaining grammatical asymmetries. Cognitive Linguistics 19(1). 1–33.
## Next to the article, the page also holds molecular data
Entry from the OMol25 dataset: 2 unconnected molecules or ions with the total composition C4H7NO at a distorted geometry (the ωB97M-V functional and the def2-TZVPD basis).

Last column: Löwdin charge in e.
Geometry (Å):
N  2.52849  -0.78816  -0.14101  0.211
C  1.69987  -0.37885  -0.93259  -0.393
O  1.54706  0.35879  -1.87438  0.083
H  2.54686  -1.60364  0.43700  0.077
C  -1.70992  -0.73487  -0.27103  -0.006
C  -0.74192  0.17276  -0.19721  -0.295
C  -0.40597  1.00660  0.99751  -0.110
H  -2.12787  -1.07210  -1.20832  0.052
H  -2.14017  -1.18632  0.61391  0.055
H  -0.34313  0.51140  -1.24554  0.105
H  -0.17997  0.36742  1.85056  0.078
H  0.48010  1.58491  0.73094  0.066
H  -1.15344  1.76206  1.24017  0.078

Atomic forces in eV per Å
N -0.981 -0.948 0.942
C 3.451 3.067 -3.221
O -1.145 -2.102 1.741
H -0.308 -0.182 0.158
C 0.141 -0.382 0.462
C -1.068 1.179 -2.874
C 1.115 -0.140 -0.310
H 0.352 -0.224 -0.162
H -0.230 0.175 0.185
H -1.163 -0.294 2.477
H -0.088 0.239 0.232
H 0.217 -0.040 0.389
H -0.292 -0.348 -0.019

Calculated values
Energy above the lowest of the compared OMol25 structures with the same formula, charge and spin = 61.1 kcal per mole
SMILES = N=C=O.C=CC
Kohn-Sham gap = 9.8 eV
Maximum force = 5.629 eV Å⁻¹

=====

Entry from the OMol25 dataset: a molecular structure, BrCa2O4P at a distorted geometry (the ωB97M-V functional and the def2-TZVPD basis).

Last column: Löwdin charge in e.
Geometry (Å):
Ca  -6.49975  -5.22109  -23.24673  0.734
Ca  -9.12046  -2.24812  -22.31030  0.680
P  -4.56393  -4.21064  -17.89289  -0.183
O  -5.51334  -4.99307  -18.79952  -0.363
O  -4.25199  -2.84724  -18.46472  -0.160
O  -3.37063  -4.93458  -18.35482  -0.099
O  -4.64914  -3.89624  -16.40166  -0.275
Br  -7.24620  -3.63034  -20.82149  -0.333

Atomic forces in eV per Å
Ca -0.528 0.880 0.898
Ca 0.842 -0.803 0.069
P -1.884 1.746 1.784
O -1.301 -0.224 1.145
O 0.326 1.642 -1.027
O 3.997 -2.003 -0.998
O -1.124 -1.309 -1.089
Br -0.327 0.070 -0.782

Calculated values
Energy above the lowest of the compared OMol25 structures with the same formula, charge and spin = 237.5 kcal per mole
Kohn-Sham gap = 3.8 eV
Maximum force = 4.580 eV Å⁻¹

=====

Entry from the OMol25 dataset: a single C2H4Br2 molecule (the ωB97M-V functional and the def2-TZVPD basis).

Last column: Löwdin charge in e.
Geometry (Å):
Br  -14.41669  -6.43235  -14.11203  0.609
C  -15.41352  -6.13199  -12.48210  -0.719
C  -16.82227  -5.68550  -12.74254  -0.719
Br  -16.89442  -3.89284  -13.45418  0.612
H  -14.86687  -5.40106  -11.89550  0.052
H  -15.42518  -7.09320  -11.97193  0.057
H  -17.37609  -5.62834  -11.80836  0.056
H  -17.34397  -6.32206  -13.44837  0.052

Atomic forces in eV per Å
Br 0.074 0.028 -0.101
C -0.005 -0.211 0.066
C -0.157 0.138 0.088
Br -0.008 0.251 -0.161
H 0.048 -0.022 0.009
H 0.019 0.051 0.067
H 0.011 -0.154 0.025
H 0.017 -0.082 0.008

Calculated values
Energy above the lowest of the compared OMol25 structures with the same formula, charge and spin = 1.5 kcal per mole
SMILES = BrCCBr
## The article goes on
OpenEdition suggests that you cite this post as follows:
Martin Haspelmath (October 7, 2012). Syntax of the World’s Languages 5 in Dubrovnik, a conference report. Diversity Linguistics Comment. Retrieved September 14, 2024 from https://doi.org/10.58079/nssa
- - -
[1]
The following is a quantum chemistry calculation of a molecular structure, C39H51As2N3O9PtSb2, from the Open Molecules 2025 dataset.

Computed properties:
Energy relative to the best compared isomer or geometry (same formula, charge and spin) ... 0.0 kJ/mol
⟨S²⟩ ... 2.0092
Calculated total energy ... -202151.6872 eV
2S+1 ... 3
Charge ... +2
HOMO-LUMO gap (alpha / beta) ... 0.2358 / 0.2155 Eh
LUMO level (alpha / beta) ... -6.12 / -6.83 eV

Geometry (Å):
1 Pt -0.13367 0.35346 0.22512
2 C 1.86481 -3.01808 0.36098
3 Sb 0.93265 -1.73892 -1.04094
4 C -0.36866 -3.02575 -2.10312
5 C 2.50941 -1.51086 -2.45656
6 C 3.71723 -0.76722 -1.94560
7 C 4.80057 -1.50735 -1.47064
8 C 5.96679 -0.89502 -1.03981
9 C 6.07063 0.48714 -1.09691
10 C 5.00035 1.23120 -1.56370
11 C 3.81322 0.62676 -1.97689
12 C 2.67777 1.50442 -2.43726
13 Sb 1.50605 2.16024 -0.77272
14 C 0.57560 3.88392 -1.56802
15 C 2.97643 2.95250 0.50826
16 H 2.88393 -2.66946 0.53001
17 H 1.88388 -4.02881 -0.04452
18 H 1.31971 -3.01348 1.30415
19 H -0.34646 -2.76252 -3.15954
20 H -1.38280 -2.93083 -1.71991
21 H -0.00638 -4.04349 -1.96503
22 H 2.06700 -1.08822 -3.35877
23 H 2.76787 -2.55057 -2.66818
24 H 4.73371 -2.59105 -1.46236
25 H 6.79629 -1.49446 -0.68765
26 H 6.98566 0.98161 -0.79849
27 H 5.08888 2.31082 -1.62410
28 H 2.00925 1.02397 -3.14892
29 H 3.03983 2.42969 -2.88690
30 H 1.33265 4.66164 -1.66464
31 H -0.22280 4.22405 -0.91127
32 H 0.16216 3.64558 -2.54723
33 H 3.51005 3.74849 -0.00943
34 H 3.67128 2.16255 0.78793
35 H 2.48689 3.35133 1.39613
36 C -4.46591 6.33305 1.84465
37 C -4.66902 4.85733 1.60972
38 C -4.79814 4.34153 0.32474
39 C -5.01995 2.98929 0.08651
40 C -5.10242 2.11162 1.16051
41 N -5.35030 0.70748 1.06449
42 C -5.55108 -0.13806 0.02384
43 O -5.93790 -1.27588 0.16831
44 N -5.29557 0.38326 -1.27620
45 C -4.00156 0.54580 -1.74500
46 C -3.74283 0.57236 -3.11407
47 C -2.44239 0.69188 -3.56138
48 C -1.41589 0.76790 -2.63909
49 N -1.65989 0.76025 -1.32397
50 C -2.91976 0.67126 -0.88111
51 C -4.97046 2.60676 2.45053
52 C -4.76425 3.95990 2.66808
53 H -3.78008 6.76084 1.11349
54 H -4.06790 6.52577 2.83984
55 H -5.40996 6.87442 1.75879
56 H -4.75624 5.01631 -0.52366
57 H -5.17216 2.64869 -0.92579
58 H -5.55315 0.25135 1.94286
59 H -5.92843 -0.03846 -1.94248
60 H -4.56083 0.48466 -3.82056
61 H -2.22137 0.70977 -4.62023
62 H -0.38038 0.84209 -2.94780
63 H -3.06332 0.65326 0.19090
64 H -5.04415 1.93309 3.29738
65 H -4.68623 4.32181 3.68752
66 C -3.75411 -3.38222 1.50611
67 O -2.65404 -3.02169 2.38398
68 C -1.84304 -2.06670 2.00715
69 O -1.92119 -1.49693 0.92544
70 C -0.70581 -1.84473 2.96247
71 C -0.78257 -2.11280 4.28231
72 As -2.45635 -1.33613 4.96061
73 C -2.41314 -1.52534 6.89498
74 C -1.43062 0.40877 4.82253
75 C -0.54543 0.81557 3.91694
76 As 0.34982 -0.29129 2.51510
77 C 2.17270 -0.18883 3.11457
78 C 0.06254 2.20574 3.94155
79 O 0.85347 2.53541 4.76986
80 O -0.15567 2.97602 2.85421
81 C -1.35017 2.79177 2.07262
82 C -1.99366 1.40327 5.81482
83 O -3.07376 1.90509 5.64347
- - -
Just two quick notes on the report from Bernard Comrie’s talk (which I haven’t heard myself): (a) in our papers we clearly distinguish between case and other possible loci of DOM effects; (b) no one knows how many languages located between the ancestors of Japanese and Tagalog had DOM 10,000 years ago, and so we cannot rule out areal spread over time lightly. This is why one needs to control for deep-time areal confounds when testing universals (as Matthew Dryer has made clear long ago in his 1989 classic Studies in Language paper).
What we do know (from our 2012+ paper) is that the estimated probabilities of developing DOM that fits a universal scale is in the same statistical ballpark as the estimated probability of developing DOM that does not fit a universal scale. This holds for most versions of how one defines the universal scale. The only exception we note in the paper is part-of-speech and definiteness/topicality-based scales: here developments towards DOM fitting the scale outrank developments against DOM fitting the scale, but the overall number of cases is too small for establishing universals in the same class of robustness as, say, word order universals.